View Full Version : Miscarriage ?

03-17-2009, 11:45 AM
Hi, new to the forum and also to garter keeping.

Just wondering if anyone has experienced a miscarriage from their garters ?

I have recently swapped a sand snake for an adult pair of albino garters, just after I got them I found some recently expelled blood in the tub. It wasn't feces as it seemed to be pure blood, but fairly congealed. The female had put her nose into it but otherwise both snakes seemed fine. Since then neither has been interested in food, though the male has mated her so that explains his nonfeeding.

I've read that live bearers can get upset and miscarry easily, I was just wondering if this is likely to be what happened. I've not kept live bearers before so not come across it.



03-17-2009, 12:15 PM
Hi Mike, welcome to the forum. I'm sure you'll get some good advice from some of the more experienced keepers here. Did the female look/seem gravid? Was she heavier towards the tail end when you got her? So far the blood could have been a result of mating if you are not sure she definately was pregnant.

03-17-2009, 12:34 PM
welcome to the forum, Mike
you're pretty positive that it was blood?
and no visible injury?
I'm not super experienced with reproduction either, but it would seem to me that if it was a miscarriage there'd be more than one and it would not look like congealed blood, so I would venture to guess that it's something else

03-17-2009, 12:52 PM
I'm not sure if she was actually mated but they are a proven pair and were kept together. I couldn't say if she was larger at the tail or not as i hadn't taken that much notice of her.

I'm very sure it was blood, red in colour, not a bloody stool either as no feces in it at all. it was however fairly sticky and thick. Only marks of blood on her were a tiny bit on her nose, looks like she had nudged it with her nose. Not something she'd be likely to do with feces.

apart from that they are both fine, not losing any weight at all, he was trying to mate with her a few days later, I've recently seen them locked up as well.

as for miscarriage i think it was an early one if anything, hence only looking like blood.


03-17-2009, 12:55 PM
Hi Mike, and welcome to the forum. Great to welcome a fellow Englishman.:)
I guess the first question is 'How much blood'? That might help to indicate if this was indeed a miscarriage. I must be honest though.... I've never seen miscarriage in a snake, although I dare say it can happen.

03-17-2009, 03:15 PM
wow, I have never seen that before... did the congealed blood have any shape to it? Like jellybeans? or was it just a mass of blood? Generally, when a female live bearing snake "miscarries", she drops what are commonly called slugs, or jelly beans. I have seen them come in yellow, orange, and blood red and nasty... just a thought!! A miscarriage that a female oviviparous snake like a garter would have, should be different than a true-birth-giving viviparous animal like a cat or a dog (or people), since a female garter snake is actually just long term incubating eggs inside of her body until it's time for the babies to "hatch", the difference being that these eggs lack a hard outer shell because they are not laid until the moment of hatching, but there's no connection between mom and the babies. In a viviparous creature such as a dog, or a person, however, the entire uterine lining is shed because that, along with the amniotic sac, is what is holding the offspring. That's why it comes out looking like a bloody mess, which would be a totally different ordeal than what this snake would expierience. So, theorhetically, I think if your snake did lose the clutch, she should simply have dropped some slimy jellybeans and carry on. I don't think that a bunch of blood is a normal ordeal for a female snake losing her clutch... unless it's accopanied by some little slugs. Sometimes, for one reason or another, they can retain these jellies inside of them and become eggbound, and I imagine that could cause some blood to come out. I would gently palpate the underside of her lower half and see if you can feel anything. Other possibilities include parasite infestation, internal blockage/infection.. or internal injury of some sort. Just throwing some ideas out there! I know when one of my balls had an internal blockage, blood and nothing else was coming out!!!:(

03-17-2009, 04:08 PM
It was roughly the size of a large poo.

**These molecular data were left in the piece by mistake:**
This record from the Open Molecules 2025 dataset describes C22H55Cl8CrNO14P3 as an isolated structure in a non-equilibrium geometry. The level of theory is ωB97M-V/def2-TZVPD.

```
104
Properties=species:S:1:pos:R:3:forces:R:3:lowdin_charge:R:1
Cr -2.672 -0.623 1.072 2.3 0.9 -1.4 0.9997
C 0.285 1.335 -1.769 -0.9 0.0 0.3 -0.0828
C -0.058 1.370 -0.272 -0.1 -0.2 0.8 -0.4263
O -1.185 0.718 0.232 -1.6 -1.3 -0.3 -0.3853
H -0.463 1.912 -2.314 -0.3 -0.4 -0.4 0.0427
H 0.365 0.295 -2.083 -0.2 0.0 -0.4 0.0383
H 1.224 1.820 -2.035 0.3 0.1 0.5 0.0716
H -0.196 2.406 0.038 0.7 0.6 0.0 0.0769
H 0.800 0.906 0.214 0.6 0.3 0.4 0.0702
C 0.050 -2.867 -0.683 0.3 0.7 -0.3 0.0154
C -1.365 -3.155 -0.278 1.4 -1.1 -1.0 -0.5315
O -1.913 -2.466 0.556 -1.3 0.9 2.1 -0.0569
N -1.945 -4.200 -0.841 -0.1 -0.6 0.5 0.0604
C -3.339 -4.645 -0.620 0.3 0.4 -1.2 -0.0056
H 0.798 -3.216 0.029 -0.3 0.0 0.3 0.0949
H 0.104 -1.780 -0.726 0.2 0.1 0.1 0.0795
H 0.377 -3.232 -1.657 -0.4 -0.2 0.0 0.0362
H -1.395 -4.620 -1.577 -0.4 -0.3 0.1 0.1496
H -3.397 -5.717 -0.811 0.0 0.2 -0.1 0.0938
H -3.855 -4.069 -1.388 -0.8 -0.5 0.1 0.0755
H -3.814 -4.448 0.341 0.8 0.3 0.1 0.0945
C 0.994 -0.580 3.231 1.4 0.8 -0.3 -0.0917
O 0.260 -1.172 4.296 -2.1 0.0 0.4 -0.1775
P -1.258 -0.656 4.417 0.4 0.1 2.0 0.5284
O -1.961 -0.551 3.104 -0.2 0.3 0.3 -0.2883
O -1.906 -1.699 5.462 0.5 1.5 -1.1 -0.1891
C -3.152 -1.303 6.086 -1.0 -0.9 0.9 -0.0798
O -1.247 0.752 5.271 -0.9 -1.5 -2.5 -0.2419
C -0.360 0.952 6.344 1.7 0.0 0.7 -0.0994
H 1.986 -1.028 3.184 -0.3 -0.6 0.0 0.0974
H 1.247 0.443 3.509 -0.4 0.3 -0.2 0.0667
H 0.483 -0.617 2.268 -0.1 -0.1 0.1 0.0788
H -3.968 -1.902 5.681 0.1 0.2 -0.5 0.0916
H -3.434 -0.250 6.111 0.6 0.1 -0.6 0.0944
H -3.150 -1.600 7.134 0.6 -0.1 0.0 0.0953
H -0.684 1.754 7.008 -0.6 -0.3 -0.2 0.1032
H 0.608 1.288 5.973 0.1 0.0 -0.3 0.0864
H -0.144 0.029 6.882 -0.4 0.0 0.2 0.0973
C -6.720 -1.387 -1.397 -1.0 0.2 1.1 -0.1062
O -5.666 -1.854 -2.218 3.3 1.5 -0.9 -0.1941
P -4.257 -1.004 -2.195 -1.1 1.2 -2.2 0.4955
O -3.564 -0.907 -0.896 -0.2 0.0 1.3 -0.2852
O -3.344 -1.623 -3.342 -1.6 -0.5 0.6 -0.1846
C -1.966 -1.263 -3.401 1.1 0.2 0.5 -0.0926
O -4.589 0.450 -2.820 -0.5 -0.9 1.7 -0.2048
C -3.653 1.558 -2.634 -0.6 0.5 -0.8 -0.0861
H -6.590 -0.412 -0.928 0.6 0.1 -0.1 0.0882
H -6.832 -2.124 -0.602 -0.3 0.1 0.0 0.0950
H -7.646 -1.262 -1.958 0.2 -0.5 -0.3 0.1011
H -1.705 -0.586 -2.587 0.1 -0.4 0.5 0.0639
H -1.635 -0.686 -4.265 -0.8 -0.3 -0.6 0.0884
H -1.421 -2.207 -3.383 0.2 0.3 0.2 0.0724
H -4.149 2.527 -2.584 -0.9 -0.3 -0.1 0.0796
H -3.162 1.602 -3.606 1.0 0.0 0.6 0.0816
H -3.111 1.545 -1.688 0.6 -0.8 -0.4 0.0731
C 7.125 -2.490 -1.960 1.2 0.1 -0.5 -0.1074
O 5.878 -2.005 -1.572 -1.9 0.3 1.2 -0.2302
P 4.931 -2.859 -0.625 -0.5 0.7 1.0 0.4435
O 5.401 -3.123 0.760 -0.5 0.2 -1.7 -0.2326
O 3.529 -2.000 -0.687 1.6 -0.1 -0.1 -0.2626
C 3.410 -0.654 -0.129 0.1 -0.4 0.2 -0.0716
O 4.654 -4.151 -1.549 0.1 1.4 0.4 -0.1945
C 3.398 -4.773 -1.451 -1.4 -0.9 0.6 -0.1253
H 7.059 -2.478 -3.048 0.6 -0.5 0.0 0.0967

Hmm how to describe it ? basically just red and thick. I could part it easily, so wasn't flesh, couldn't see any eggs inside it. Like if you have a tooth out and the blood starts to set in your gum, very sticky.

It may have been something else but really I'd have expected to see her in pain or something if she was ill. What makes me think maybe miscarriage was the fact that there was no feces at all in it and that she had investigated it with her nose. Had I thought she was ill then she'd have gone to vets, but would like to know what it was.

My 'Whats wrong with my snake' book by 'John Rossi' says... 'In smaller species of live-bearing snakes, stress, especially in the form of handling, may cause spontaneous abortions'. As she had just been moved from her previous owner to me, with associated tub changes then this may have been a trigger.

She is absolutely fine at the moment, I've just moved my red coachwhip to a new viv with a female so have cleaned the old viv and put the garters in there. Male is hiding like normal but she is busy wandering around.

I'll try to get a few pics of them sometime. They are the parents to garterprincess's albinos.


03-17-2009, 04:10 PM
Beats me, Mike. But worth keeping a very close eye on. As Shannon said, I would expect to see something more substantial if she aborted.

03-17-2009, 04:30 PM
If you think she seems fine, that's very good! Just keep a close eye on both of them. She may have investigated it because blood often elicits a feeding response... especially with my garters!!! I just would think that if she were aborting, you should be seeing the infertile eggs, maybe they are still to come?! I am wondering if maybe there weren't a few, and he or she ate them... I would not put that past a garter! Just keep a close watch, make sure she is pooping normally, eating like normal, etc. Eggbinding, if it were such, can overcome them very quickly. A seemingly totally healthy snake can suddenly fall ill and drop dead in less than 24 hours from eggbinding! I watched my poor spookey go through it a few years ago :( Just watch for a sudden occurrence of restlessness followed by lethargy, unusual limpness when being handled, etc. Hopefully, it was nothing detrimental!

03-17-2009, 05:11 PM
Hello and a warm welcome to you, Mike. :)

Have a look at the gallery on this page, scroll about three quarters down (ID 85):

EGSA.de - European Garter Snake Association (http://www.egsa.de)

It didn't look like that by any chance?

03-18-2009, 02:26 PM
Hello and a warm welcome to you, Mike. :)

**Between two parts of the entry: molecular data:**
........
80
Properties=species:S:1:pos:R:3:forces:R:3 method="wB97M-V/def2-TZVPD" gap_ev=8.1549 smiles="Oc1ccc(O)cc1.Oc1ccc(O)cc1.Oc1ccc(O)cc1.Oc1ccc(O)cc1.NC(N)=O.NC(N)=O.NC(N)=O"
C -4.67709 5.20302 2.88278 -1.5090 -6.3835 -0.0740
O -4.97746 4.50558 1.93716 0.3882 -0.8585 -0.9816
N -4.61907 4.69742 4.15148 0.1940 -0.5845 1.8379
N -4.51566 6.43825 2.82496 1.7412 9.0075 0.6545
H -4.46895 3.71873 4.35075 -0.3338 0.2530 -0.5699
H -4.59538 5.29636 4.96438 0.1754 -0.0963 -0.3028
H -4.19772 7.03397 2.07387 -0.5945 -1.0477 -0.7039
H -4.27624 6.93727 3.66981 -0.0451 -0.3002 0.1347
C -5.57125 -0.73360 -3.67569 2.7567 -1.3209 0.5915
O -4.64612 -1.02152 -2.93607 0.3657 -1.2251 0.3782
N -5.95974 -1.35329 -4.78200 -0.0565 -1.2180 -1.2178
N -6.23390 0.35270 -3.49882 -2.9303 4.7502 1.3387
H -5.61107 -2.28938 -4.93114 -0.4391 0.3304 -0.5252
H -6.72932 -0.86551 -5.21781 0.1289 -1.3774 -0.6236
H -6.19091 0.79890 -2.59375 0.1649 0.0831 -0.3898
H -6.88793 0.71071 -4.18012 0.0573 -0.0127 0.4784
C 1.24349 0.59888 -1.00973 1.6291 3.4660 1.5221
O 2.36505 1.07308 -0.77817 -0.9769 -0.7760 0.2063
N 0.08685 1.22295 -0.73108 -0.8856 1.2646 0.3801
N 0.99975 -0.55053 -1.54220 0.5669 -5.0446 -2.1672
H -0.72478 0.85257 -1.20455 -0.2322 0.6826 0.7439
H 0.10734 2.02743 -0.12077 -0.3445 -0.0488 -0.6112
H 1.69875 -1.26935 -1.42059 0.0150 0.2389 -0.4818
H 0.09699 -0.87450 -1.85870 0.1922 0.2113 0.4221
C 1.78324 7.43524 3.91618 0.5935 0.2503 -1.1386
C 1.02201 7.59171 5.01917 -1.6621 0.7592 1.1978
C 0.80664 6.54137 5.87778 0.9178 -1.8943 -0.1326
C 1.38039 5.32952 5.62912 1.1591 -0.6432 -1.1515
C 2.14207 5.14798 4.45707 -0.6856 -0.8104 1.6267
C 2.33330 6.20197 3.62348 -0.5841 0.1874 -0.0437
O 2.88389 6.06462 2.40973 0.8458 -0.1108 -1.0472
O 0.05240 6.64882 6.96624 -1.6157 1.7546 1.6349
H 1.93027 8.18321 3.15111 -0.1774 0.3389 0.1598
H 0.37194 8.42124 5.25517 0.4582 0.7160 -0.3259
H 1.25373 4.52719 6.34091 -0.0429 -0.2300 -0.0538
H 2.49538 4.15429 4.22437 0.2259 -0.0661 -0.1178
H 3.03290 5.12854 2.25760 0.1912 -0.0833 -0.2236
H -0.19057 5.82928 7.40317 0.3617 -0.1849 -0.4061
C -4.76746 -2.57574 4.47142 -0.6089 -0.8463 2.6434
C -5.59636 -2.60653 5.63574 1.1449 0.2037 -1.5755
C -5.20204 -3.22302 6.81651 2.3489 -0.0860 -2.8544
C -3.94446 -3.84442 6.93351 0.4860 0.8104 -2.4812
C -3.11446 -3.87476 5.74965 -1.5050 0.2271 0.5518
C -3.57319 -3.29905 4.53708 -0.7555 0.5741 -0.3368
O -2.88594 -3.37726 3.34796 1.7185 -0.7560 0.6296
O -6.04576 -3.26292 7.79034 -2.0009 -0.5044 3.8166
H -5.00941 -2.05389 3.55736 -0.3229 -0.0068 0.0422
H -6.58714 -2.17826 5.67225 -0.1071 0.3023 -0.4010
H -3.59749 -4.25092 7.87201 -0.0652 -0.1153 -0.0475
H -2.16798 -4.39227 5.80218 0.0772 0.0515 -0.1812
H -3.37234 -3.16179 2.54886 -0.4928 0.1244 0.4747
H -6.77130 -2.63734 7.72835 0.0829 0.0317 -0.2909
C 3.36780 0.10286 -8.58804 0.9391 -0.2306 0.2122
C 3.52344 -1.29688 -8.54111 -0.7321 2.0654 -0.0014
C 3.28864 -1.93885 -9.73048 -0.0174 -2.8670 -1.5934
C 2.90927 -1.30585 -10.89639 -0.6075 1.7777 0.8894
........

Have a look at the gallery on this page, scroll about three quarters down (ID 85):

EGSA.de - European Garter Snake Association (http://www.egsa.de)

It didn't look like that by any chance?

No sorry not at all, just sticky blood, look at pic 77 that is similar, though obviously out of the snake and no eggs or anything in with the blood.

I'm not worried about the snake at all, this is all over a month ago so i'm happy she is fine, just was wondering what it may have been.

Currently have both watching me from different corners of their new viv.


03-18-2009, 03:14 PM
Sorry that I ccan't add anything helpful for you, Mike, but I do want to welcome you to a great forum.